At a recent Saturday protest outside London’s Stratford train station — comprised of bindi-wearing hippies, conspiracy theorists in balaclavas, and middle-aged men in waterproof jackets — a protester with the grassroots, anti-lockdown group StandUpX yelled into a megaphone.
“The vaccine is there to make you infertile… that vaccine is just going to make them able to control you,” they shouted.
Listening to the dangerously false spiel was 24-year-old Rebekah, who we are only identifying by her first name. A survivor of domestic abuse, Rebekah said she was living in a Manchester safe house when the first UK-wide lockdown began in March. “If I was still living at home [with her abuser] in lockdown, I probably would have died,” she told CNN.
But Rebekah’s concerns about the crushing social and economic effects of pandemic restrictions took a conspiratorial turn after she read an Instagram post that she said made her question “information shared by the media.” She researched the matter online, churning up information that, while not supported by facts, nonetheless backed up her growing suspicions.
Many conspiracy theories have found legs during the pandemic, and one of the first ones that Rebekah found was the widely debunked claim that Microsoft co-founder Bill Gates was profiting from coronavirus vaccines.
There’s no evidence Gates or his foundation will profit from the Covid-19 vaccines, according to PolitiFact, a nonpartisan fact-checking operation.
In recent weeks, Rebekah says she has attended numerous anti-lockdown protests with her two children, while sharing conspiracy-laden posts about the pandemic to her 11,000 followers on Instagram. “We have to trust it [the vaccine] … knowing that they [Gates and the pharmaceutical companies] won’t get in trouble if any of us die,” she said as she handed her daughter a lollipop.
While it might seem easy to pass off the 80-strong rally as a fringe event, Rebekah’s journey to the protest frontlines is a microcosm of how online misinformation has allowed fantastical conspiracies to find a bigger audience.
The World Health Organization (WHO) “realized if people think Covid-19 is a hoax they will not only go outside and flout rules,” said Anna-Sophie Harling, the Europe managing director of internet trust tool NewsGuard, which flags anti-vaccination misinformation for the UN agency, among other projects. “But it’s hard to convince people to take a vaccine for something they don’t think exists or don’t think is a problem,” she told CNN.
In 2021, experts fear this alternative, fact-free universe will fuel hesitancy in taking the vaccine, a vital weapon in the fight against the virus. “To beat Covid-19, we also need to defeat the parallel pandemic of mistrust that has consistently hindered our collective response to this disease,” Francesco Rocca, president of the International Federation of Red Cross and Red Crescent Societies, warned in a virtual briefing to the UN Correspondents Association on November 30.
The alt-universe
The first sign of a problem began as lockdowns shuttered large swathes of the planet in the spring.
A study by the University of Oxford found that thousands of coronavirus misinformation videos, including the “Plandemic” clip that falsely claimed Covid-19 was created in a lab for profit, were shared 20 million times on social media between October 2019 and June 2020.
Around the same time, QAnon, a dangerous online cult that believes US President Donald Trump is secretly fighting to bring down a cabal of pedophiles, also found a wider audience in Europe. A CNN investigation reviewed Facebook pages and groups related to the QAnon conspiracy based outside the US and found at least 12.8 million interactions between the beginning of the year and the last week of September.
As the months wore on, libertarian debates against mask-wearing and lockdowns began to intersect more strongly with conspiracy theories. An August march against Covid-19 restrictions in Germany’s capital Berlin ended with protestors storming the steps of the Reichstag. Among the crowd were QAnon supporters toting the conspiracy group’s insignia, as well as demonstrators waving imperial banners, a flag now deployed by the far right as the swastika is banned in Germany.Anetta Kahane, founder of the anti-racism group the Amadeu Antonio Foundation, watched the march from her Berlin apartment’s window in horror. She told CNN it looked like disparate groups of conspiracists, neo-nazis, anti-vaxxers and esoterics appeared to have overcome their political differences. “It is against liberalism, against globalised society, against science, against intellectuals, against multiculturalism and all the [trappings of] modern society,” she said at the time.
Louise Creffield and Vince Dunmall, the founders of one anti-lockdown group, Save Our Rights UK, told CNN their focus was legislation, not conspiracies — insisting that lockdowns and mask mandates are illegal and undemocratic.
The group’s founders have, however, expressed anti-vaccination sentiments and knowingly co-organized marches with anti-vaxxers and conspiracy theorists like Piers Corbyn — brother of former British Labour Party leader Jeremy Corbyn. Piers Corbyn is a climate change denier who proselytizes online about Covid-19 being a “fake virus,” despite all the evidence to the contrary.
CNN has reached out to Corbyn for comment.
The group’s Facebook page has posted videos featuring anti-Semitic conspiracy theorists such as David Icke, who popularized the false idea that a shape-shifting lizard-like species exerts control over human society by garnering political power to manipulate the world. Considered one of the most notorious conspiracists in the UK, Icke now claims the pandemic was entirely planned. “We really do stand at the cusp between any kind type of freedom and a fascism that would make even the Nazis wince because of its technological nature,” he said in Save Our Rights UK’s video interview with him, which clocked nearly a quarter of a million
Nearly two months later, they posted an interview with Desmond Swayne, a ruling Conservative Party lawmaker, who is opposed to lockdowns. Save Our Rights UK’s co-founder, Dunmall said: “Look, David Icke may be someone who is talking out of turn in respect to a lot of what a lot of people think. But we’ve had a combination of Mr. Desmond Swayne coming on and saying what he’s got to say.” “You know, it’s freedom of speech, and it’s a human right to have your opinions. Just because you don’t agree with it doesn’t mean you’re not entitled to it,” he told CNN.
“The interview with SOR [Save Our Rights UK] was exclusively about lockdown and coercion,” Swayne told CNN in an email. “Whilst I would never countenance compulsory or coerced vaccination, I am an enthusiast for vaccination,” he added.
The issue is not freedom of speech; the real problem is that professional conspiracy theorists like Icke have exploited world events to make a living, says Daniel Allington, a senior lecturer at King’s College London and an expert on conspiracy beliefs.
When asked to comment on whether he exploited world events for financial gain, Icke declined to comment.
The government’s Covid-19 restrictions contained aspects of scenarios that conspiracy theorists had been predicting for years, Allington said.
“That life is going to be like George Orwell’s ‘1984’ and every aspect of your life will be controlled by the government and everything will be tracked and you’ll be under constant surveillance and there’ll be terrible punishments for it,” he explained.
It does not help when these false ideologies are backed by celebrities and television pundits. At the start of December, “Black Panther” star Letitia Wright shared concerns and conspiracy theories about Covid-19 vaccines.
The actress shared a video on Twitter from a YouTube personality who made baseless claims about the vaccines’ safety, but eventually deleted the tweet after dozens of back-and-forth exchanges with people criticizing her for spreading potentially dangerous misinformation.
In November, British television presenter Emma Kenny suggested Covid-19 vaccinations would injure children in a since-deleted tweet. She also shared a video in which she said, “everything as far as I am concerned that I have considered conspiracy is looking more and more like reality.”
In a statement to CNN, Kenny said she is not a Covid-19 denier or anti-vaccination. “In fact, for those wanting the vaccine then if that makes them feel secure, then that will be a good thing. I at this point just want to be allowed an informed choice and I would think in the US and the UK this would not be a contentious point. I will always stand for people to have autonomy over their bodies,” she added.
Western populist movements, like the Brexit vote, also laid the groundwork for people to ignore warnings from experts around the middle of this decade, says Joe Ondrak, a senior researcher at fact-checking organization Logically.
“You had [Conservative lawmaker] Michael Gove’s famous soundbite that people had enough of experts,” Ondrak said of the politician’s statement in the run-up to UK’s Brexit vote in 2016. He explained that the period set a precedent for civil discourse no longer being about a person’s qualifications to speak on a matter, but “far more about feelings and emotion,” and the idea of “truthiness” — the latter meaning that “it feels like the truth and therefore I’m going to believe it.”
‘Much of the damage has already been done’
The main culprit in the spread of these fictional worldviews has been social media.
While surveys by Allington have found a majority of people in the UK reject conspiracies, he said “it’s quite clear that the events of the past year have thrown these theories into overdrive.”
By May, a King’s College London and Ipsos MORI study based on three surveys on Covid-19 conspiracies by Allington and his colleagues surveyed UK residents and found three in ten believed the virus was probably created in a lab. People who got their information from social media were more likely to believe in conspiracies than those who got it on television or radio the study also found.
“Facebook groups containing Covid-19 and vaccine misinformation have been growing virtually unchecked,” NewsGuard’s Harling said. “Each group has a backup group, and when that fails [after being de-platformed by Facebook] they tend to move off Facebook,” to the controversial conservative social media platform Parler, or Gab or Telegram, she added.
Facebook has historically struggled to handle anti-vaccine misinformation on its platform and only started to ban QAnon sites in October, three years after the conspiracy formed.
The company said this month it would remove debunked coronavirus claims. But NewsGuard’s report on Covid-19 vaccine misinformation ‘superspreaders’ on the platform, released prior to Facebook’s announcement, shows that many of the flagged pages remain on the site.
A Facebook company spokesperson told CNN that it takes “aggressive steps to limit the spread of misinformation about Covid-19,” that it has “connected over two billion people with accurate information from public health authorities” and it removes content that could lead to “imminent physical harm,” such as false posts about virus cures or vaccines.
The spokesperson added that Facebook took down more than 12 million examples of such content between March and October and worked with third-party fact checkers to attach warnings to 167 million Covid-19 posts.
On Instagram, which is owned by Facebook, four of the top 10 search results for the word “vaccine” are anti-vaccination accounts. “In many ways, I think much of the damage has already been done. The anti-vax movement: people believe Covid-19 is a hoax — those people have been sowing their seeds since March,” Harling said.
Inserted here: quantum chemistry results =
/*
Entry 1:
15
Properties=species:S:1:pos:R:3:forces:R:3:lowdin_charge:R:1 method="wB97M-V/def2-TZVPD" charge=+1 total_energy_ha=-287.1690 relative_energy_kcal_mol=17.1 homo_lumo_gap_ev=11.4
C 0.53427 0.63305 -0.70180 1.29 -0.14 -2.10 -0.18
C 1.13739 0.02090 -1.74044 -0.30 -0.18 1.13 0.07
N 0.12492 -0.10427 0.47209 1.45 -1.47 0.08 0.13
H 0.55445 1.70642 -0.60392 -0.56 0.11 -0.08 0.11
H 1.45078 0.60927 -2.59381 0.07 0.02 0.17 0.07
H 1.42279 -1.06159 -1.76492 -0.72 1.03 0.02 0.09
H 1.07123 -0.31427 0.89937 -1.71 0.14 0.36 0.19
H -0.49292 0.44056 1.10780 0.47 -0.09 -0.17 0.12
H -0.28239 -1.06778 0.12032 0.18 1.08 0.78 0.09
H -1.71417 -2.67431 -0.42087 0.61 -0.16 -0.11 0.10
H -0.18129 -3.14325 -0.67046 -1.24 0.91 0.30 0.12
O -0.78629 -2.38179 -0.46066 0.48 -1.14 -0.32 -0.03
H -0.61811 2.34927 2.87353 -0.47 0.19 -0.91 0.08
H -1.32834 2.87049 1.52199 0.32 -0.30 0.73 0.08
O -0.89230 2.11734 1.96176 0.14 0.00 0.13 -0.06

***

Entry 2:
15
Properties=species:S:1:pos:R:3:forces:R:3:lowdin_charge:R:1 method="wB97M-V/def2-TZVPD" charge=+2 total_energy_ha=-286.5572 relative_energy_kcal_mol=57.0 spin_multiplicity=2 s2=0.759 homo_lumo_gap_ev="10.9 / 4.4"
C -0.08645 -1.94002 -0.15723 -0.39 -1.17 1.58 0.03
C 1.30197 0.00204 -0.28788 0.66 0.91 2.10 0.24
N 0.64360 -0.86042 0.46723 -0.93 -0.24 -1.70 0.11
H -0.65997 -2.47774 0.60859 -0.24 0.39 0.18 0.14
H 0.56943 -2.80146 -0.41664 0.31 0.44 -0.44 0.17
H -0.73866 -1.65762 -0.96085 0.24 0.22 -0.65 0.10
H 1.08388 0.16772 -1.31172 -0.27 -0.38 -1.00 0.14
H 2.18733 0.48136 0.11824 0.04 -0.05 0.05 0.15
H 0.61605 -0.79945 1.48489 0.71 -0.09 0.11 0.21
H -2.58522 1.20844 -0.42550 -0.37 0.04 -0.24 0.14
H -2.14253 0.06528 -1.46301 -0.47 0.46 -0.07 0.13
O -2.17711 0.32818 -0.52193 0.80 -0.41 0.27 0.21
H 0.72584 2.38068 1.42980 0.34 -0.42 0.07 0.12
H 0.25948 2.72624 0.04199 0.23 -0.22 -0.38 0.11
O 0.70814 2.01309 0.52775 -0.65 0.52 0.12 0.00

***

Entry 3:
16
Properties=species:S:1:pos:R:3:forces:R:3:lowdin_charge:R:1 method="wB97M-V/def2-TZVPD" charge=-1 total_energy_ha=-685.6238 relative_energy_kcal_mol=27.5 homo_lumo_gap_ev=5.4
C 0.07080 -0.99957 0.52384 -0.54 1.55 -1.88 -0.43
C 0.59114 -2.11423 1.33953 -0.39 -2.00 -0.82 -0.92
S 1.40540 -1.69031 2.84522 -0.16 0.25 1.14 0.12
N -1.11635 -0.24569 1.12718 2.21 -0.26 -0.75 -0.03
H 0.73093 -0.14392 0.36123 0.84 -0.50 0.21 0.07
H -0.01071 -1.46618 -0.54554 -1.06 1.15 1.51 0.12
H -0.29525 -2.86807 1.28947 1.00 0.81 0.91 0.07
H 1.32419 -2.65164 0.72420 0.02 0.08 -0.21 0.02
H -1.88241 -0.86686 1.07877 -1.13 -0.62 0.59 0.03
H -0.79791 -0.07915 2.10794 -0.57 -0.55 -0.80 0.05
H 1.01783 2.66828 -4.90440 0.41 -0.79 0.81 0.05
H 1.69343 1.72156 -3.81405 0.81 0.45 0.86 0.01
O 1.07623 1.77058 -4.51964 -1.23 0.33 -1.66 -0.06
H -1.19795 1.72722 0.34857 -0.29 -1.19 -0.36 -0.03
H -1.04517 2.66753 1.42698 -0.45 0.34 -0.18 0.03
O -1.56417 2.57045 0.61071 0.53 0.94 0.65 -0.11

***

Entry 4:
16
*/
Ondrak said another problem for Facebook is what he calls “micro-influencers” — individual profiles promoting Covid-19 conspiracies through public posts that are getting hundreds of shares. “They are tricky as it is an underground network that is not viewable off analytics software,” he added.
There is no one single solution to the problem. Ondrak worries that takedowns of posts and pages could risk re-enforcing people’s views on conspiracies.
“Before 2020, fringe conspiracy narratives were just fringe, but it is not like that now and the idea of takedowns needs to be rethought, purely because it’s wider discourse now,” he said, adding that removal could in itself be seen as a vindication of someone’s warped beliefs.
For Allington, social media giants like Facebook “need to own this problem and recognize they have contributed to it through their policies.”
One possible fix could be opening itself up to external researchers “who will be able to audit the success of their policies and controlling the spread of this content,” Allington said.
When asked if Facebook would be open to Allington’s suggestion, the company spokesperson said it worked with third-party fact checkers and has “displayed warnings on around 167 million COVID-19 posts – leading to 95% of people not clicking through to read the original post.”
Another focus, said Harling, is upping media literacy skills and complete transparency from tech companies.
“So transparency towards the user on what’s behind the content in their newsfeed, but also on the part of the tech platforms as to why they’re making certain decisions, how much content they’re removing, what steps are being taken and why,” she said.
Back at the London protest, Rebekah told CNN after the demonstration that she didn’t leave her flat for three months during the UK’s first national lockdown, fearful for her and her children’s lives due to Covid-19.
But she said she felt conned after reading a misleading Instagram post in the summer, which pointed to the UK government downgrading Covid-19 from its high consequence infectious disease (HCID) list as proof that authorities were overhyping the virus.
It is true that England’s public health agency no longer considers Covid-19 a HCID, but that does not mean the country does not consider it as highly dangerous. The HCID designation is for pathogens like Ebola, which has an average death rate of 50%. While Covid-19 has a fatality rate of around 1% in high-income countries, according to Imperial College London, it has a higher rate of transmission, and has killed far more people in Africa than the 2014-16 Ebola outbreak.
“To find out that during all that time, my mind could have been at peace, I could have focused on other things. The children could have gone out and played, I felt so gullible,” Rebekah said. Now, she says, there is very little that will change her mind about her belief in the conspiracy about Bill Gates and the Covid-19 vaccine. Nor will she be taking the Covid-19 vaccine. “I always question everything… I know Google isn’t everything, but I’ll have a look on there and see what I can find.”
By Tara John, CNN
IMAGE: Protesters demonstrate against the lockdown and use of face masks in Trafalgar Square, amid the coronavirus pandemic. (REUTERS)